+++
# 1
Diffraction record for Rb5Pb2O6. The powder XRD pattern is simulated, not measured: it uses a structure optimized by DFT (PBE) and λ = 1.5418 Å (Cu Kα).
Intensities are scaled so that the largest is 100.

Principal peaks in the range 10 to 80 degrees two-theta, in order of rising 2θ:
two_theta	d [Å]	Rel. int.
12.05	7.344	50
14.19	6.242	85
15.52	5.710	55
17.07	5.194	57
19.26	4.609	58
26.39	3.377	80
27.37	3.258	99
28.41	3.142	59
29.15	3.063	100
30.40	2.941	43
31.43	2.846	41
35.39	2.537	48

Crystal structure
Lattice parameters (Å, degrees): 7.1571 7.1571 15.0392 100.34 100.34 66.55
Fractional positions:
1 Rb 0.1127 0.8873 0.7500
2 Rb 0.2028 0.7324 0.9928
3 Rb 0.2334 0.4658 0.2842
4 Rb 0.2676 0.7972 0.5072
5 Rb 0.4658 0.2334 0.7842
6 Rb 0.5342 0.7666 0.2158
7 Rb 0.7324 0.2028 0.4928
8 Rb 0.7666 0.5342 0.7158
9 Rb 0.7972 0.2676 0.0072
10 Rb 0.8873 0.1127 0.2500
11 Pb 0.1837 0.3652 0.5704
12 Pb 0.3652 0.1837 0.0704
13 Pb 0.6348 0.8163 0.9296
14 Pb 0.8163 0.6348 0.4296
15 O 0.0781 0.3311 0.4222
16 O 0.1189 0.1719 0.6414
17 O 0.1719 0.1189 0.1414
18 O 0.3311 0.0781 0.9222
19 O 0.4405 0.4430 0.1185
20 O 0.4430 0.4405 0.6185
21 O 0.5570 0.5595 0.3815
22 O 0.5595 0.5570 0.8815
23 O 0.6689 0.9219 0.0778
24 O 0.8281 0.8811 0.8586
25 O 0.8811 0.8281 0.3586
26 O 0.9219 0.6689 0.5778



# 2
Diffraction record for Ac2ThNpN5. The powder XRD pattern is simulated, not measured: it uses a structure optimized by DFT (PBE) and λ = 1.5418 Å (Cu Kα).
Intensities are scaled so that the largest is 100.

Principal peaks in the range 10 to 80 degrees two-theta, in order of rising 2θ:
two_theta	d [Å]	Rel. int.
28.77	3.103	100
30.42	2.938	52
38.61	2.332	12
43.56	2.078	22
49.93	1.827	21
53.04	1.726	40
59.59	1.551	14
63.30	1.469	7
63.93	1.456	7
70.98	1.328	9
71.84	1.314	9
76.66	1.243	7

Crystal structure
Lattice parameters (Å, degrees): 4.1555 4.1555 9.3286 90.00 90.00 90.00
Fractional positions:
1 Ac 0.0000 0.0000 0.2224
2 Ac 0.0000 0.0000 0.7776
3 Th 0.5000 0.5000 0.5000
4 Np 0.5000 0.5000 0.0000
5 N 0.0000 0.0000 0.5000
6 N 0.0000 0.5000 0.0000
7 N 0.5000 0.0000 0.0000
8 N 0.5000 0.5000 0.2544
9 N 0.5000 0.5000 0.7456


For Cd2MoRhO6, a cell relaxed with GGA+U gives the calculated X-ray diffraction stick pattern in this record (λ = 1.5418 Å (Cu Kα)).
Peak positions follow from Bragg's law for the DFT cell and can differ from measured ones.

Structure:
```
data_Cd2MoRhO6
_chemical_formula_sum 'Cd2 Mo1 Rh1 O6'
_symmetry_space_group_name_H-M 'P 4 m m'
_symmetry_Int_Tables_number 99
_cell_length_a 5.506
_cell_length_b 5.506
_cell_length_c 4.167
_cell_angle_alpha 90.00
_cell_angle_beta 90.00
_cell_angle_gamma 90.00
loop_
_symmetry_equiv_pos_as_xyz
'x,y,z'
'-y,x,z'
'-x,-y,z'
'y,-x,z'
'-x,y,z'
'y,x,z'
'x,-y,z'
'-y,-x,z'
loop_
_atom_site_label
_atom_site_type_symbol
_atom_site_fract_x
_atom_site_fract_y
_atom_site_fract_z
Cd1 Cd 0.000 0.500 0.000
Mo1 Mo 0.000 0.000 0.545
Rh1 Rh 0.500 0.500 0.562
O1 O 0.000 0.000 0.067
O2 O 0.247 0.247 0.577
O3 O 0.500 0.500 0.064
```
+++

Search the data further up for the word "that" and echo each line that has it.

Intensities are scaled so that the largest is 100.
Intensities are scaled so that the largest is 100.